A drain cleaning project in the Northern Territory saw the equivalent of 2,800 box trailer loads of sediment removed from the Ludmilla Creek Trunk Drain, and formed part of larger flood mitigation works within the Ludmilla catchment to reduce the overflow of stormwater in the region.
The Ludmilla Creek Trunk Drain Reinstatement project removed 18,000 tonnes of sediment from the Ludmilla Creek Trunk Drain and 700 tonnes from the local drainage network in the Narrows, a massive amount that had built up over decades and was causing major problems for locals.
Built up sediment was contributing to localised flooding in the Narrows after small amounts of rainfall and even worse flooding during bigger storm events, as it would clog up the drain causing stormwater to overflow.
Graeme Finch, Senior Director, Infrastructure at the Northern Territory Department of Lands, Planning and the Environment, led the reinstatement project that enabled the local drainage network to resume its proper function and restored the drain to its original 1974 state.
Mr Finch said the project took three months to complete and was an important project due to changes in the way the creek operated.
“The trunk drain is the headwaters of a tidally influenced creek that has been significantly modified by roads and sewer infrastructure which has changed the natural flushing of the creek,” Mr Finch said.
“The drain has been cleared in the past but not to the extent of this project.”
BMD Urban was awarded the contract and works included clearing the accumulated sediment from the drain, treating the Potential Acid Sulphate Soil (PASS) with lime on a specifically constructed treatment lime pad, and disposing the treated material to landfill.
“BMD Urban used a range of 30 tonne excavators to dig the drain and load the sediment onto moxies to transport to the treatment pad,” Mr Finch said.
Unrelated to this entry: molecular data.
=====
Record 1
138
Properties=species:S:1:pos:R:3:forces:R:3 method="wB97M-V/def2-TZVPD" multiplicity=3 charge=+1 lumo_ev="-4.443 / -4.443"
C -2.4438 -9.1248 0.0942 -0.04 0.19 -0.08
C -3.7669 -8.7532 -0.5836 0.21 0.04 0.89
C -4.7686 -8.1490 0.4313 0.11 -0.10 -0.71
C -5.5494 -6.9386 -0.1079 0.06 0.35 0.64
C -5.4172 -5.6524 0.7473 -0.20 0.05 -0.33
C -6.7260 -4.8516 0.7279 0.03 -0.18 0.21
C -6.9493 -4.0843 -0.5694 0.45 -0.62 -0.21
C -5.9611 -2.9696 -0.8763 -0.31 0.63 0.11
C -6.1927 -1.7234 0.0057 -0.01 -0.55 0.26
C -5.2602 -1.5833 1.2230 0.47 -0.08 -0.42
C -4.2054 -0.4626 1.0606 -0.33 -0.60 0.18
C -2.7780 -0.9712 1.1937 -0.05 0.62 -0.16
C -1.7533 0.1018 0.8110 0.35 -0.79 -0.03
C -0.3335 -0.1660 1.3594 -0.58 0.52 -0.16
C 0.7167 0.0248 0.2801 0.31 0.15 0.35
C 2.1542 -0.0671 0.7787 0.06 -0.16 -0.63
C 2.6624 -1.4445 1.2439 0.58 0.23 0.46
C 3.6474 -2.0725 0.2381 -0.73 0.04 0.53
C 4.0277 -3.5205 0.5707 -0.25 1.14 -0.72
N 5.1730 -3.8557 -0.3582 -0.55 -1.28 -0.69
P 6.5307 -4.6987 0.3216 1.21 0.80 0.11
O 7.4426 -3.8490 1.0743 -0.06 0.31 0.43
C 4.5413 -4.7929 -1.2150 1.04 0.21 1.15
N 4.7335 -4.7605 -2.4895 -0.38 -0.44 -0.30
S 4.0105 -5.9187 -3.5618 0.24 -0.15 -0.16
N 3.7125 -5.6463 -0.5203 -0.95 0.37 -0.77
C 2.9272 -4.6756 0.2970 0.80 -0.08 1.28
B 2.5207 -5.2750 1.7515 -0.42 -0.81 0.30
N 3.4902 -5.8396 2.6414 0.42 1.31 -0.75
O 1.2081 -5.2851 2.1830 0.62 0.74 0.27
P 1.5808 -4.2493 -0.9696 0.52 0.25 -0.74
O 1.1968 -5.7657 -1.4286 -0.72 0.19 0.40
Cl -0.0849 -3.6880 0.0512 -0.07 0.19 0.06
H -1.6257 -9.2175 -0.6177 0.07 -0.06 -0.09
H -2.5104 -10.0659 0.6350 -0.08 -0.09 0.07
H -2.1855 -8.3575 0.8231 0.20 0.08 0.02
H -4.1785 -9.6657 -1.0058 -0.16 0.11 -0.41
H -3.6012 -8.0180 -1.3666 0.12 -0.08 -0.24
H -5.4486 -8.9516 0.7048 -0.18 0.08 0.32
H -4.2446 -7.8325 1.3296 0.15 -0.12 0.15
H -5.2170 -6.6808 -1.1097 -0.13 -0.22 -0.27
H -6.6095 -7.1731 -0.1388 -0.14 -0.13 -0.28
H -4.6203 -5.0362 0.3290 0.20 0.03 0.13
H -5.1222 -5.8833 1.7691 -0.11 -0.13 0.13
H -6.8332 -4.2147 1.6070 0.20 0.22 0.00
H -7.5204 -5.5923 0.8150 -0.26 0.04 0.11
H -7.9619 -3.6875 -0.5993 -0.10 0.13 0.02
H -6.8909 -4.8187 -1.3769 -0.09 -0.05 -0.12
H -4.9169 -3.2785 -0.8135 0.04 -0.20 0.05
H -6.1208 -2.6779 -1.9130 0.02 0.00 -0.17
H -7.2106 -1.8042 0.3834 -0.23 0.31 -0.20
H -6.1074 -0.8544 -0.6394 -0.18 0.31 0.15
H -4.7270 -2.5302 1.3375 0.02 -0.10 0.11
H -5.8234 -1.4585 2.1427 -0.15 0.14 0.08
H -4.3832 0.3111 1.8046 0.05 0.25 -0.04
H -4.3401 -0.0275 0.0721 0.11 0.26 -0.06
H -2.6533 -1.8024 0.4988 0.06 -0.34 0.12
H -2.6164 -1.3328 2.2099 0.07 -0.08 0.09
H -2.0844 1.0931 1.1067 -0.04 0.13 0.04
H -1.6763 0.0688 -0.2769 -0.18 0.32 -0.16
H -0.2948 -1.1477 1.8281 0.12 -0.23 -0.01
H -0.1649 0.5811 2.1361 0.23 -0.11 0.20
H 0.5758 -0.6377 -0.5748 -0.18 -0.26 -0.03
H 0.5874 1.0372 -0.1050 -0.04 0.08 -0.14
H 2.3116 0.6903 1.5423 -0.01 -0.04 0.23
H 2.7904 0.2219 -0.0617 0.16 0.19 0.02
H 1.8724 -2.1273 1.5573 -0.28 0.00 -0.21
H 3.2600 -1.2545 2.1381 -0.09 -0.23 0.24
H 4.5591 -1.4921 0.3447 0.18 0.06 -0.38
=====
“The sediment was also mixed with lime by an excavator and loader until the potential acid sulphate was neutralised.”
Mr Finch said although a drain cleaning project might sound simple, there were several challenges that had to be overcome during the delivery of the project.
“All the material being removed was PASS which requires either treatment or disposal in a lined cell at a waste station.
-- The entry is interrupted by calculated molecules --
'''
No. 1
{"formula": "C21H28CoF3O4", "method": "ωB97M-V with the def2-TZVPD basis set", "elements": ["H", "C", "H", "C", "H", "O", "C", "H", "H", "F", "O", "H", "C", "F", "H", "Co", "H", "C", "C", "H", "H", "H", "H", "C", "O", "H", "H", "H", "C", "H", "H", "F", "C", "C", "H", "H", "C", "C", "H", "C", "H", "C", "C", "C", "C", "C", "C", "H", "H", "C", "H", "H", "H", "O", "H", "H", "C"], "xyz": [[1.023, -2.392, -3.725], [0.253, -2.387, 2.493], [0.168, 0.178, -3.762], [-1.464, -2.555, -2.572], [2.007, 3.968, -2.962], [-0.528, -0.804, -1.110], [2.310, 1.631, -0.795], [0.465, 1.984, 0.294], [-2.528, -1.952, 2.855], [2.370, 2.418, 3.027], [0.446, 0.590, 1.848], [1.707, -1.181, -2.611], [-0.399, -1.497, -2.419], [1.253, 2.257, 4.919], [0.938, 4.645, -0.469], [-0.358, -1.277, 0.762], [-2.457, 2.231, 1.671], [-0.968, 0.390, -1.916], [-2.270, 0.255, 2.702], [-2.025, 0.574, -1.721], [3.176, 1.379, -0.148], [-1.413, -2.977, -3.584], [0.129, 3.477, -1.561], [-2.480, 1.148, 1.612], [2.771, 2.308, -1.987], [1.846, 2.923, 0.860], [-1.543, -3.606, 1.875], [1.253, -2.828, -2.030], [-2.850, 0.397, 0.470], [-0.319, 1.250, -1.683], [-1.319, -3.383, -1.878], [0.291, 3.170, 3.161], [-2.751, -1.003, 0.798], [1.047, 3.695, -0.997], [-1.583, -0.337, -3.918], [1.835, 0.669, -1.096], [1.338, 2.541, -0.033], [1.412, -2.003, 1.767], [-2.463, -2.135, -2.429], [2.258, 3.661, -1.938], [-3.056, -1.841, 0.163], [0.066, -3.246, 0.356], [-2.460, -1.066, 2.223], [-0.708, -0.258, -3.260], [-0.598, -3.133, 1.615], [1.137, 2.167, 3.573], [0.988, -2.006, -2.697], [2.065, -2.398, -0.319], [-0.271, -3.876, -0.460], [0.595, 0.748, 3.111], [0.074, -2.214, 3.548], [-2.090, 0.537, 3.744], [3.039, 4.348, -1.555], [0.336, -0.031, 4.044], [-3.273, 0.821, -0.443], [2.280, -1.468, 2.141], [1.300, -2.508, 0.443]], "lowdin_spin": [0.000, 0.073, 0.000, 0.001, 0.000, 0.059, 0.000, 0.000, 0.005, 0.000, 0.045, 0.000, 0.004, 0.001, 0.000, 2.548, -0.004, 0.015, 0.283, 0.005, 0.000, 0.000, 0.000, 0.016, 0.000, 0.000, 0.003, 0.001, 0.310, 0.001, 0.000, 0.000, 0.076, 0.000, 0.001, 0.000, 0.000, 0.068, 0.000, 0.000, 0.000, 0.060, 0.237, 0.003, 0.058, 0.003, 0.001, 0.005, 0.005, 0.007, 0.003, 0.008, 0.000, 0.007, 0.012, 0.004, 0.077], "total_charge": 0, "e_above_lowest_kj_mol": 0.0, "homo_lumo_gap_ev": [7.88, 6.37], "mol_weight_g_mol": 460.4, "e_lumo_ev": [0.30, -2.16], "homo_ha": [-0.2784, -0.3137], "multiplicity": 5, "total_energy_ev": -76196.03618}

---

No. 2
'''
“Disposal of waste in a lined cell in the Northern Territory is particularly costly and the lime needed to treat the PASS was not readily available and had to be hauled in from Mataranka, which is 400km from Darwin.
“Also, as a tidal mangrove environment, earthworks were particularly difficult so the contractor had to be innovative in how it managed the movements of machines (the moxies) along the length of the drain and how it supported the weight of excavators while digging out the sediment.”
In addition to the project group (including the Department of Lands, Planning and the Environment, the Department of Infrastructure, an environmental consultant and BMD Urban), a range of other stakeholders were also involved in the project, including the Northern Territory EPA, Department of Land Resource Management’s Weeds Branch, Darwin City Council, an independent third party environmental auditor and the Ludmilla Landcare community group.
Removing the sediment was a significant step in reinstating the drain to its optimal state, but Mr Finch said there are other stages of works still to be completed that will help reduce flood risk in the Ludmilla catchment.
“Sediment traps are being designed in detention basins upstream from the drain to limit the volume of sediment that enters the drain, with the second stage of works including an improved culvert under the sewer main that crosses the drain to improve natural flushing during high tides and flood events,” Mr Finch said.
“The second stage of works also include lining the base of the drain to provide a separation between the PASS below the base and any sediment that is deposited in the drain.
“After these measures are implemented, routine maintenance is all that should be required to maintain the functioning of the drain.”
The next stage of works at Ludmilla will also involve extending the drain to the culverts under Dick Ward Drive, increasing the natural flushing of sediment from the drain and reducing the need for further works to clear the drain of potential acid sulphate soil.
Mr Finch said the design work for the extension has been completed and all these works combined were contributing to mitigating flood risk and improving stormwater management across Darwin.
“The reinstatement of the drain is a fundamental part of the flood mitigation works within the Ludmilla catchment as without a functioning trunk drain, a major subcatchment can’t function as it is designed.”